• Published 15th Jan 2012
  • 1,571 Views, 25 Comments

Rainbow's Song - DMDash71

Rainbow Dash gets a royal invite to a contest that's normally not her specialty.

  • ...

Chapter 2

“No, it’s no joke, Rainbow. I got my invitation in the mail today, too.” The delicately curled horn on Twilight Sparkle’s forehead began to glow softly, and a familiar looking envelope drifted over. “Too bad the letter vanishes when the singing spell’s done, but that’s an inevitable side-effect of the spell when you-“

“Come on, Twilight! Enough with the magic lecture already!”

Twilight blinked at the outburst, setting the envelope down on the worktable beside her. “Rainbow, what’s the matter?”

Rainbow Dash snorted and tossed her head in irritation. “Racing contest, fine. Strength contest, fine. Dancing contest-no no NO, forget that. I don’t wanna put any more ideas in her head.”

“Whose head?”

“Princess Celestia’s, duh!” Rainbow snorted again and stomped a hind-hoof hard enough to make the shelves rattle. “It’s all a plot, isn’t it, to make me look dumb in front of the Wonderbolts. When’s the last time you heard a stunt pony fly through the air crooning a ballad? It’s ridiculous!”

“It’s not ridiculous, Rainbow, and I’m pretty sure it’s not a plot, either.” Twilight gave her friend a worried smile. “You really shouldn’t be so upset about this. The Princess has tried to visit a couple of times before, but it seems like disasters always pop up and end up cutting the occasion short.” She shrugged. “I’m sure this is just her way of inviting us for a visit and getting to know us better. She doesn’t get to, um, hang out a lot, I guess.”

“Twilight, trust me, this IS a disaster that will cut the occasion short.” Rainbow Dash started pacing the floor slowly, then braked to a halt at the sound of another familiar voice.

“Did somebody say disaster? Pinkie Pie’s head popped up at the open window across the room. “There shouldn’t be a disaster, at least right now because I haven’t had a twitcha-twitch or a squinty-wink or OOOH you got a letter too, Twilight!” With a sudden rush, the pink mare’s form bounded entirely through the window and began bouncing on all four hooves in front of Twilight Sparkle, the sight of which made Rainbow’s fetlocks ache. “Did it sing for you and all like mine did, cause mine sang a little song and invited me to a singing contest and then it went BOOF! and turned into a cloud of golden dust that made me sneeze and it was all fizzy in my nose like a soda, except soda makes you burp and it didn’t make me burp, even though I tried-MRF!” Pinkie Pie blinked at the sky blue forehoof that had suddenly been jammed in her mouth.

“We get the idea, Pinkie.” Rainbow Dash removed her hoof and began pacing back and forth again. “Wait, I have an idea. Pinkie loves to sing, right?”

-- These records of crystals were left in the article by mistake --
-- begin --
1.
# KTa3CuO9 (PBE, optimized geometry)
data_KTa3CuO9
_cell_length_a 7.715
_cell_length_b 8.960
_cell_length_c 10.244
_cell_angle_alpha 90.00
_cell_angle_beta 90.00
_cell_angle_gamma 90.00
_space_group_name_H-M_alt 'P m n a'
_space_group_IT_number 53
loop_
_space_group_symop_operation_xyz
'x,y,z'
'-x,-y,-z'
'-x+1/2,-y,z+1/2'
'x+1/2,y,-z+1/2'
'x,-y,-z'
'-x,y,z'
'-x+1/2,y,-z+1/2'
'x+1/2,-y,z+1/2'
loop_
_atom_site_label
_atom_site_fract_x
_atom_site_fract_y
_atom_site_fract_z
K1 0.000 0.084 0.244
Ta1 0.247 0.201 0.562
Ta2 0.250 0.430 0.250
Cu1 0.000 0.500 0.000
Cu2 0.000 0.500 0.500
O1 0.000 0.150 0.559
O2 0.000 0.273 0.947
O3 0.000 0.443 0.187
O4 0.183 0.416 0.615
O5 0.191 0.000 0.000
O6 0.213 0.275 0.379
O7 0.250 0.148 0.750
# Total energy (eV per cell): -479.4
# Theoretical density (Mg/m³): 7.41
# M_tot (Bohr magnetons per cell): 0.15
# Energy with MP2020 corrections (eV/atom): -9.002
# Energy of formation from the pure elements (eV/atom): -2.91
# Calculated volume (Å³/f.u.): 177


2.
# KYCu2O4 (PBE, optimized geometry)
data_KYCu2O4
_cell_length_a 3.881
_cell_length_b 3.881
_cell_length_c 7.181
_cell_angle_alpha 90.00
_cell_angle_beta 90.00
_cell_angle_gamma 90.00
_space_group_name_H-M_alt 'P 4/m m m'
_space_group_IT_number 123
_space_group_name_Hall '-P 4 2'
loop_
_atom_site_label
_atom_site_fract_x
_atom_site_fract_y
_atom_site_fract_z
K1 0.000 0.000 0.000
Y1 0.000 0.000 0.500
Cu1 0.500 0.500 0.277
O1 0.000 0.500 0.300
# Total energy (eV per cell): -49.0
# Theoretical density (Mg/m³): 4.90
# M_tot (Bohr magnetons per cell): 0.00
# Energy with MP2020 corrections (eV/atom): -6.463
# Energy of formation from the pure elements (eV/atom): -2.02
# Calculated volume (Å³/f.u.): 108


3.
# K2CuP3S9 (PBE, optimized geometry)
data_K2CuP3S9
_cell_length_a 6.906
_cell_length_b 24.341
_cell_length_c 10.991
_cell_angle_alpha 90.00
_cell_angle_beta 118.87
_cell_angle_gamma 90.00
_space_group_name_H-M_alt 'P 1 21/c 1'
_space_group_IT_number 14
loop_
_space_group_symop_operation_xyz
'x,y,z'
'-x,-y,-z'
'-x,y+1/2,-z+1/2'
'x,-y+1/2,z+1/2'
loop_
_atom_site_label
_atom_site_fract_x
_atom_site_fract_y
_atom_site_fract_z
K1 0.009 0.044 0.238
K2 0.298 0.696 0.128
Cu1 0.237 0.609 0.808
-- stop --

“You got that righty-lighty, Rainbow Dash!” Pinkie Pie began bouncing in place again. “I LOVE to sing, this is gonna be so much fun!”

“Problem solved.” Rainbow looked over at Twilight Sparkle and grinned. “Pinkie Pie can just sing two songs, one for her, and one for me.”

“I don’t think that’s how it’s supposed to work, Rainbow. The point is, it’s a song by you, about you, not somepony else’s idea.” Twilight moved to speak again, but was cut off by a new torrent of pink exuberance.

“Rainbow Dash, you got a letter, too?” Pinkie’s eyes widened until Rainbow began to wonder if they were going to pop out and start singing on their own. “That’s so AWESOME! Did it sing for you like mine and Twilight’s did, cause mine was really cool and it blew up and BOOF and everything-“

“Yeah, boof, golden dust, the whole deal.” Rainbow Dash started pacing again.

Pinkie Pie watched her friend for a moment, her expression puzzled. “What’s wrong? Don’t you want to go to Canterlot and sing for the Princess?”

Rainbow Dash groaned in exasperation, her wings flicking out to full extension and then clapping shut again. “Pinkie Pie, do you even know me?”

“Sure I do, you’re Rainbow Dash!” Pinkie crouched suddenly, “Or are you? Maybe you’re an evil spy sent here from Canterlot to find out what my song is before I sing it.” She began bouncing back and forth playfully in front of both mares, her voice lilting. “But I’m not gonna tellll youuu, my song is a big seeeecret-“

“Pinkie, I’m not an evil spy from Canterlot. I don’t think they make those there.”

“A-HA!” Pinkie-Pie leaned in close, eyeing Rainbow Dash warily. “That’s just what an evil song-stealing Canterlot spy would say, just to find out my secret song. You won’t find out from me!” She stuck out a foreleg, then mimed zipping her lips closed. “Mheee? Hno heecretz here!”

Twilight Sparkle laughed softly. “The fate of Equestria is saved.”

“Oh, it certainly is, my dear.” The light, contralto voice curled through the air from behind them, a sound graceful on anypony’s ears and immediately identifying its owner.

“Oh, hey Rarity. Come on in.” Twilight glanced around, then offered a sheepish grin. “We were just talking about so-uff!” A pink elbow in the ribs and a glare from Pinkie Pie cut her off.

“Those horrid spies from Canterlot, yes, I couldn’t help but overhear when I was passing by.” The half-door, open to catch the warm afternoon breeze, swung open as Rarity trotted in. The unicorn smiled, tossing her complicated curls over one shoulder. “You do want to be careful about discussing such things of import when any passersby could hear them.”

Rainbow Dash gave her an odd look. “Passersby? Don’t you usually go to the spa at this time?”

“Well, yes, naturally, but one must look to one’s physical aesthetics as well as the spiritual ones, dear.” Rarity smiled brightly.

Rainbow just stared at her. “You were exercising.”

“Well, yes, didn’t I just say so?”

Twilight arched an eyebrow at her friend. “Since when is getting your mane done a spiritual experience?”

“Oh it isn’t, dear. Except when it’s…mine.” Rarity reached up a foreleg and stroked the curls of her mane gently, and then drew them into a quick hug. “All mine. Just like the experience of hearing me sing at Canterlot will be.”

“You got invited, too-oof!” Twilight grimaced. “Pinkie, it’s not a secret!”

The pink pony glared back at her, and then looked suspiciously at Rainbow Dash and Rarity for a moment, then back to Twilight Sparkle.

Twilight sighed. “No, they are not both spies.”

Pinkie Pie sat for a moment. “Mrr hurr?”

“Yes, I’m sure. Now will you stop that? You’re drooling on the floor.”

Pinkie sat still for a moment longer, and then exhaled loudly. “PbbbaAHHH!” The other ponies ducked to avoid the blast. “Whew! That’s great, because keeping secrets from spies is really, really hard. They’re just, you know…so spyeyey.”

Rarity flicked a suspicious damp spot away from her cheek. “Uhhgh! That’s not even a word!”

Rainbow Dash frowned. “Pinkie, do you even have a song to sing yet?”

“Nope!” Pinkie Pie beamed. “And that’s how come the spies won’t find out until I siiiing it!” Laughing gaily, she bounded across the room and went outside, humming a typical Pinkie tune, the one that went up and down an octave and occasionally just threw a random note in just to fry your brain.

Rarity watched the pink pony bouncing away for a moment. “Well, that ought to be an interesting experience, at the very least.” She stepped away from the half-door and walked back over to sit down with her friends. “Rainbow Dash, I suppose you and Twilight are going, too?”

Rainbow glanced at Twilight for a moment. “Umm, we were talking about that before Pinkie showed up.” She took in a long, slow breath and blew it out quickly, flipping her forelock upward. “I wish I could sit this one out. Singing is…” Her wings flickered and she stood up and began to pace again. “I mean, it’s great and all, but it’s just not what I do, you know?” She groaned and sat down again, clapping a foreleg across her eyes. “I don’t even know what I’d sing about. GAH!”

Rarity frowned, eyes searching her friend’s face for a moment. “Well, Rainbow, what IS it that you do?”


“I mean, dear, that apparently, the songs are supposed to be about us. What we like, what we do, who we are, as it were.” The unicorn flicked her tail absently, the deep indigo coloration standing out against her gleaming white coat. “So, what is it that you do?”

Rainbow sat silent for a moment in thought. “Well, I like to race, you know.” She grinned. “I like to go fast, and win!”

“Well, that’s a start.” Twilight smiled. “What else?”

“I’m thinkin’.” Dash stood up again and began to pace slowly. “Well…you know. I move clouds and all. I’m a pretty good weather pony.”

“And all in ten seconds flat, I remember.”

“Yeah! I’m pretty fast. And AWESOME!” Rainbow Dash arched an eyebrow and grinned at her friends. “A song about me and how awesome I am would be…um, you know…”

Twilight bit. “Awesome?”

“Well duhhhh!” Rainbow laughed. “I mean, how could it not be?”

Rarity offered a weak smile. “Oh, yes indeed!”

Twilight’s horn began to itch, a feeling she had begun to trust lately without understanding why. “Tell you what, Rainbow. The way the invitations were written, ‘O’Elements of Harmony’ is basically a fancy way of inviting the six of us ponies that saved Equestria.”

Rainbow leaned in, a smirk curled round her muzzle. “Twice.”

“True.” Twilight Sparkle stood up and stretched for a moment. “You might want to go talk to Fluttershy and Applejack and see what they’re thinking about. I mean, you don’t have to talk about your song, but it’s okay to talk about what you want to sing about, I’d think.”

Rainbow Dash brightened at the suggestion. “That’s a pretty good idea, Books McGee.” She patted Twilight Sparkle on the forelock. “I knew I kept you around for a good reason.”

Twilight rolled her eyes, her voice deadpan. “I’m pleased to be of service once again.”

The pegasus pony looked at her for a moment, then drew both unicorns into a sudden, abrupt hug. “Thanks, both of you. I was really thinking about skipping this one out.” She released them both, then drew back, stretching her wings. “I’ll catch you later, okay? I’m gonna go talk to Applejack and Fluttershy.” A quick beat of her wings sent her aloft, and she soared up to the apex of Twilight’s library and out the observatory window. “Seeya!”

Rarity looked after her for a moment, the carefully coifed curls of her mane spilling over the delicate arch of her neck. “Twilight…singing about being awsome? I think we made a mistake. I don’t want everyone to laugh at the poor girl.”

Twilight Sparkle rubbed irritatedly at the base of her own horn. “I don’t know Rarity. I don't think she realizes it's not a contest; that's not what the letter said." She sighed slowly. "You know how Rainbow Dash thinks though. But I think it’ll work out. I...I just have a feeling it will.”

“A feeling?” Rarity’s right eye twiched. “As in Pinkie Pie-twitcha-twitch-the sky is falling feeling?” She hugged her mane to herself again, shivering slightly. “Oh dear.”